
PART VITransitory Provisions.

Transitional Proceedings.

110Current rates, jury lists, &c.

(1)Every rate and precept for contributions made before the appointed day may be levied and collected, and proceedings for the enforcement thereof taken in like manner as nearly as may be as if this Act had not passed.

(2)The accounts of all receipts and expenditure before the appointed day shall be audited, and disallowances, surcharges, and penalties recovered and enforced, and other consequential proceedings had in like manner as nearly as may be as if this Act had not passed, and every officer whose duty it is to make up any accounts, or to account for any portion of the receipts or expenditure in any account, shall, until the audit is completed, be deemed for the purpose of such audit to continue in office and be bound to perform the same duties and render the same accounts, and be subject to the same liabilities as before the appointed day.

(3)In the counties of Middlesex, Kent, and Surrey, the lists of jurors in force on the appointed day shall continue in force until the lists which are next made come into force, and all jurors summoned before the appointed day shall attend after that day as if summoned in accordance with this Act.

(4)All proceedings, legal and other, commenced before the appointed day, may be carried on in like manner, as nearly as may be, as if this Act had not passed, and may be so carried on by the county council in substitution for the authorities by whom such, proceedings were commenced. Every legal proceeding commenced before the appointed day may be amended in such manner as may appear necessary of proper in order to bring the same into conformity with the provisions of this Act.

(5)Every militiaman enlisted before the appointed day shall continue liable to serve in the same corps as if this Act had not passed.

111Transitory provisions as to lunatic asylums.

(1)Any committee for providing an asylum for pauper lunatics, or any committee Of visitors of an asylum for pauper lunatics holding office on the day fixed for the first election of county councillors under this Act, shall continue to hold office until the expiration of one week after the county council have elected a committee for the like purposes and no longer.

(2)Any committee elected by the county council shall come into Office at the expiration of the said week, and shall be deemed to be a continuance of the old committee of visitors elected by the quarter sessions.

(3)All visitors of an asylum appointed on behalf of a borough or subscribers who are visitors at the date of the first election of the county council under this Act shall continue to be such visitors until the annual election of visitors which happens next after such election.

(4)Anything done in pursuance of the enactments relating to pauper lunatics by the quarter sessions or any committee thereof before the appointment of any committee by the county council shall have effect as if it had been done by the county council or by a committee elected by the county council.

(5)Where there is a joint committee of visitors for two or more counties or boroughs, this section shall apply to each portion of the committee appointed by the justices of any such county, or by the justices or council of any such borough, in like manner as if it were a separate committee.

112Transitory provisions as to Contagious Diseases (Animals) Acts.

(1)Every executive committee appointed by the quarter sessions under the Contagious Diseases (Animals) Acts, and holding office on the appointed day, shall continue to hold office until the expiration of one week after the county council shall have appointed a committee for the like purpose, and no longer.

(2)Au executive committee appointed by the county council shall come into office at the expiration of the said week, and shall be deemed to be a continuance of the outgoing executive committee.

1.
Ce2Bi2H after structural relaxation. Source: Alexandria via LeMat-Bulk, functional PBE.

final energy	-52.03	eV per cell

Cell and atoms, written as POSCAR:
```
Ce2Bi2H
1.0
-1.290 -3.157 2.855
6.219 -0.441 2.322
-1.271 8.124 4.946
Ce Bi H
4 4 2
Direct
0.839 0.973 0.677
0.411 0.417 0.823
0.161 0.473 0.323
0.589 0.917 0.177
0.789 0.462 0.578
0.211 0.962 0.422
0.007 0.193 0.014
0.993 0.693 0.986
0.371 0.088 0.742
0.629 0.588 0.258
```

---

2.
Ce5Bi4H after structural relaxation. Source: Alexandria via LeMat-Bulk, functional PBE.

final energy	-54.03	eV per cell

Cell and atoms, written as POSCAR:
```
Ce5Bi4H
1.0
6.467 0.000 0.000
3.233 7.060 0.000
3.233 0.000 7.060
Ce Bi H
5 4 1
Direct
0.421 0.000 0.000
0.907 0.381 0.815
0.722 0.185 0.381
0.288 0.815 0.619
0.103 0.619 0.185
0.808 0.789 0.607
0.597 0.607 0.211
0.415 0.393 0.789
0.204 0.211 0.393
0.046 0.000 0.000
```

---

3.
Ce3Bi2H after structural relaxation. Source: Alexandria via LeMat-Bulk, functional PBE.

distance to the lowest polymorph of the same formula	0	kJ/mol of formula units

Cell and atoms, written as POSCAR:
```
Ce3Bi2H
1.0
4.319 0.000 0.000
0.000 7.308 0.000
0.000 0.000 19.755
H Ce Bi
4 12 8
Direct
0.750 0.016 0.554
0.250 0.984 0.446
0.250 0.484 0.054
0.750 0.516 0.946
0.750 0.481 0.658
0.250 0.658 0.952
0.750 0.342 0.048
0.250 0.634 0.161
0.750 0.981 0.842
0.750 0.842 0.452
0.250 0.519 0.342
0.250 0.158 0.548
0.750 0.366 0.839
0.250 0.134 0.339
0.250 0.019 0.158
0.750 0.866 0.661
0.250 0.175 0.721
0.750 0.836 0.056
0.750 0.336 0.444
0.250 0.664 0.556
0.250 0.675 0.779
0.750 0.825 0.279
0.750 0.325 0.221
0.250 0.164 0.944
```

---

4.
Ce4Bi2H after structural relaxation. Source: Alexandria via LeMat-Bulk, functional PBE.

distance to the lowest polymorph of the same formula	0	kJ/mol of formula units

Cell and atoms, written as POSCAR:
```
Ce4Bi2H
1.0
4.642 0.000 0.000

(3)Every sub-committee of an executive committee under the said Acts holding office on the appointed day shall continue in office until a sub-committee for the like purposes shall be appointed by the county council, or by the executive committee appointed by the county council.

(4)Every committee and sub-committee continued in office by virtue of this section shall, during such continuance, have all such powers as it would have had if this Act had not been passed.